(What to do)
Please filter the block further down: keep the lines with the word "Ni".

(Data)
'''
## Tb3Dy5Ho4 (GGA-PBE)

Data for a relaxed structure of Tb3Dy5Ho4.

Calculated values
DOS at the Fermi energy ... 15.1 states/eV per cell
Magnetization ... 0.00 μB/atom
ΔE to the lowest computed polymorph ... 0 meV per atom

CIF file:
```
data_Tb3Dy5Ho4
_symmetry_space_group_name_H-M 'P -1'
_symmetry_Int_Tables_number 2
_cell_length_a 6.118
_cell_length_b 7.066
_cell_length_c 8.645
_cell_angle_alpha 90.04
_cell_angle_beta 90.12
_cell_angle_gamma 90.14
loop_
_symmetry_equiv_pos_as_xyz
'x,y,z'
'-x,-y,-z'
loop_
_atom_site_label
_atom_site_type_symbol
_atom_site_fract_x
_atom_site_fract_y
_atom_site_fract_z
_atom_site_occupancy
Tb1 Tb 0.000 0.000 0.000 1
Tb2 Tb 0.166 0.750 0.666 1
Dy1 Dy 0.000 0.500 0.000 1
Dy2 Dy 0.333 0.000 0.334 1
Dy3 Dy 0.500 0.250 0.000 1
Ho1 Ho 0.167 0.250 0.666 1
Ho2 Ho 0.333 0.500 0.334 1
```

## Th2Ge4Rh3 (GGA-PBE)

Data for a relaxed structure of Th2Ge4Rh3.

Calculated values
DOS at the Fermi energy ... 19.3 states/eV per cell
Magnetization ... 0.00 μB/atom
Electronic total energy ... -62.61 eV/f.u.

CIF file:
```
data_Th2Ge4Rh3
_symmetry_space_group_name_H-M 'C m c e'
_symmetry_Int_Tables_number 64
_symmetry_space_group_name_Hall '-C 2ac 2'
_cell_length_a 5.837
_cell_length_b 15.074
_cell_length_c 7.610
_cell_angle_alpha 90.00
_cell_angle_beta 90.00
_cell_angle_gamma 90.00
loop_
_atom_site_label
_atom_site_type_symbol
_atom_site_fract_x
_atom_site_fract_y
_atom_site_fract_z
_atom_site_occupancy
Th1 Th 0.000 0.112 0.090 1
Ge1 Ge 0.000 0.181 0.479 1
Ge2 Ge 0.250 0.058 0.750 1
Rh1 Rh 0.000 0.000 0.500 1
Rh2 Rh 0.250 0.226 0.750 1
```

## Th2MnAg (GGA-PBE)

Data for a relaxed structure of Th2MnAg.

Calculated values
DOS at the Fermi energy ... 4.0 states/eV per cell
Magnetization ... 0.00 μB/atom
ΔE to the lowest computed polymorph ... 0 meV per atom

CIF file:
```
data_Th2MnAg
_symmetry_space_group_name_H-M 'P 4/m m m'
_symmetry_Int_Tables_number 123
_symmetry_space_group_name_Hall '-P 4 2'
_cell_length_a 3.407
_cell_length_b 3.407
_cell_length_c 8.122
_cell_angle_alpha 90.00
_cell_angle_beta 90.00
_cell_angle_gamma 90.00
loop_
_atom_site_label
_atom_site_type_symbol
_atom_site_fract_x
_atom_site_fract_y
_atom_site_fract_z
_atom_site_occupancy
Th1 Th 0.000 0.000 0.216 1
Mn1 Mn 0.500 0.500 0.000 1
Ag1 Ag 0.500 0.500 0.500 1
```


1.
Below is a relaxed La2TaNi crystal, with properties calculated at the PBE level.

Results
ΔH_f (0 K) = 0.461 eV/atom
density = 9.2 g/cm³
size of the total moment = 0.00 μB per formula unit
offset from the most stable computed form = 392 meV/atom
calculated volume = 93.0 Å³/f.u.

abc: 5.876 5.876 5.876
angles: 137.07 137.07 62.33
Positions (direct):
La 0.000 0.000 0.000
La 0.750 0.250 0.500
Ta 0.500 0.500 0.000
Ni 0.250 0.750 0.500

=====

2.
Below is a relaxed BaLi2LaAg crystal, with properties calculated at the PBE level.

Results
ΔH_f (0 K) = 0.095 eV/atom
density = 4.0 g/cm³
size of the total moment = 0.00 μB per formula unit
calculated volume = 166.7 Å³/f.u.

abc: 5.405 5.405 5.706
angles: 90.00 90.00 90.00
Positions (direct):
Ba 0.000 0.000 0.000
Li 0.000 0.500 0.500
Li 0.500 0.000 0.500
La 0.500 0.500 0.000
Ag 0.500 0.500 0.500

=====

3.
Below is a relaxed Tm5Cd2Co crystal, with properties calculated at the PBE level.

Results
ΔH_f (0 K) = -0.211 eV/atom
density = 9.5 g/cm³
size of the total moment = 0.00 μB per formula unit
offset from the most stable computed form = 0 meV/atom
calculated volume = 197.7 Å³/f.u.

abc: 6.664 11.878 4.996
angles: 90.00 90.00 90.00
Positions (direct):
Tm 0.000 0.000 0.000
Tm 0.125 0.293 0.000
Tm 0.164 0.594 0.500
Tm 0.336 0.094 0.500
Tm 0.375 0.793 0.000
Tm 0.500 0.500 0.000
Tm 0.625 0.207 0.000
Tm 0.664 0.906 0.500
Tm 0.836 0.406 0.500
Tm 0.875 0.707 0.000
Cd 0.111 0.851 0.500
Cd 0.389 0.351 0.500
Cd 0.611 0.649 0.500
Cd 0.889 0.149 0.500
Co 0.000 0.500 0.000
Co 0.500 0.000 0.000

=====

4.
Below is a relaxed AcSmS2 crystal, with properties calculated at the PBE level.

Results
ΔE_f (raw) = -1.938 eV/atom
density = 7.1 g/cm³
'''

(Here it is)
Ni 0.250 0.750 0.500